What’s in a Name? Everything
Next to the page, the page also holds data records
/*
# 1
Structure and computed PXRD pattern of DyPuV (a cell relaxed with GGA-PBE; Cu Kα, 1.54184 Å).
No peak broadening, texture or thermal motion is included.

The 6 most intense peaks (2θ = 10–90°), in order of rising 2θ:
2θ = 17.50°, I 96
2θ = 31.64°, I 100
2θ = 32.35°, I 55
2θ = 34.74°, I 87
2θ = 40.64°, I 51
2θ = 42.63°, I 37

Cell and atoms:
Unit cell a=7.1688 b=7.1688 c=6.0008 alpha=90.00 beta=90.00 gamma=90.00
Space group P4_12_12 (No. 92)
Symmetry-distinct sites (fractional):
Dy 0.2270 0.2270 0.0000 [4 per cell]
Pu 0.0937 0.0937 0.5000 [4 per cell]
V 0.1803 0.8197 0.7500 [4 per cell]

# 2
Structure and computed PXRD pattern of Ac7La12Nd (a cell relaxed with GGA-PBE; Cu Kα, 1.54184 Å).
No peak broadening, texture or thermal motion is included.

The 6 most intense peaks (2θ = 10–90°), in order of rising 2θ:
2θ = 26.19°, I 45
2θ = 28.51°, I 100
2θ = 31.61°, I 29
2θ = 32.33°, I 28
2θ = 36.93°, I 28
2θ = 38.06°, I 24

Cell and atoms:
Unit cell a=20.4133 b=20.4133 c=6.7114 alpha=90.00 beta=90.00 gamma=120.00
Space group R-3 (No. 148, hexagonal axes)
Symmetry-distinct sites (fractional):
Ac 0.0000 0.0000 0.0000 [3 per cell]
Ac 0.0860 0.1722 0.2925 [18 per cell]
*/
When it comes to brands, there have been a plethora of studies and multiple opinions on the subject. But one thing is abundantly clear: Brands do matter—whether they are internationally known or only to people in your hometown.
There is a reason companies spend millions of dollars each year promoting and markeing their names, not to mention the amount of money spent in legal fees trying to protect a brand from being copied or turned into a commodity. Think Xerox, Kleenex, Coke, these are all brand names for a particular type of thing but, in some ways, because these companies have historically done such a good job in promoting their brand name they have become synonomous with the generic product they are offering. And, it’s not just the name that matters, it’s also the logo, such as Nike’s “swoosh,” or the symbol for most car companies, movie studios or sports teams to name a few.
Whether it’s the name or the logo, these and other companies spend countless dollars reminding people why their brand is more than just the generic version of the product, because they understand consumers are driven to things they know, not to mention trust.
~~~
Entry 1:
This entry pairs a crystal structure of Ti3TlH with its computed X-ray powder pattern. Radiation: Cu Kα, 1.54184 Å. Structure: a DFT-relaxed cell (GGA-PBE, Alexandria).
Kinematic intensities with the Lorentz-polarization factor, no thermal factor.

Largest 6 diffraction maxima, low angle first, 2θ = 10–90°:
| (hkl) | 2θ (°) | I/Imax |
| --- | --- | --- |
| 0 0 1 | 14.7 | 66 |
| 1 1 -1 | 26.9 | 61 |
| 0 2 0 | 36.7 | 56 |
| 2 1 0 | 36.9 | 55 |
| 1 2 2 | 38.1 | 100 |
| 1 0 2 | 38.6 | 95 |

Crystal structure
```
data_Ti3TlH
_symmetry_space_group_name_H-M 'P 1'
_symmetry_Int_Tables_number 1
_symmetry_space_group_name_Hall 'P 1'
_cell_length_a 4.8690
_cell_length_b 5.7214
_cell_length_c 6.3881
_cell_angle_alpha 72.90
_cell_angle_beta 89.99
_cell_angle_gamma 64.91
loop_
_atom_site_label
_atom_site_fract_x
_atom_site_fract_y
_atom_site_fract_z
Ti1 0.0000 0.0000 0.0000
Ti2 0.0032 0.9976 0.4753
Ti3 0.2527 0.5172 0.8666
Ti4 0.2578 0.4969 0.3546
Ti5 0.4934 0.0274 0.2258
Ti6 0.7960 0.4702 0.1233
Tl1 0.5077 0.9903 0.7528
Tl2 0.7633 0.5038 0.6023
H1 0.2353 0.8473 0.2742
H2 0.4814 0.3675 0.1450
```

Entry 2:
This entry pairs a crystal structure of PrPaPb2O8 with its computed X-ray powder pattern. Radiation: Cu Kα, 1.54184 Å. Structure: a DFT-relaxed cell (GGA-PBE, Alexandria).
Kinematic intensities with the Lorentz-polarization factor, no thermal factor.

Largest 6 diffraction maxima, low angle first, 2θ = 10–90°:
| (hkl) | 2θ (°) | I/Imax |
| --- | --- | --- |
| 2 0 0 | 24.0 | 100 |
| 1 1 2 | 30.0 | 97 |
| 2 2 0 | 34.2 | 30 |
| 3 1 2 | 46.1 | 74 |
| 2 0 4 | 56.5 | 20 |
| 3 3 2 | 58.7 | 21 |

Crystal structure
```
data_PrPaPb2O8
_symmetry_space_group_name_H-M 'I -4 m 2'
_symmetry_Int_Tables_number 119
_symmetry_space_group_name_Hall 'I -4 -2'
_cell_length_a 7.4101
_cell_length_b 7.4101
_cell_length_c 7.2551
_cell_angle_alpha 90.00
_cell_angle_beta 90.00
_cell_angle_gamma 90.00
loop_
_atom_site_label
_atom_site_fract_x
_atom_site_fract_y
_atom_site_fract_z
Pr1 0.0000 0.0000 0.0000
Pa1 0.0000 0.5000 0.7500
Pb1 0.0000 0.0000 0.5000
Pb2 0.0000 0.5000 0.2500
O1 0.0000 0.1979 0.7049
O2 0.0000 0.3225 0.0277
```

Entry 3:
This entry pairs a crystal structure of Ti6InO3 with its computed X-ray powder pattern. Radiation: Cu Kα, 1.54184 Å. Structure: a DFT-relaxed cell (GGA-PBE, Alexandria).
Kinematic intensities with the Lorentz-polarization factor, no thermal factor.

Largest 6 diffraction maxima, low angle first, 2θ = 10–90°:
| (hkl) | 2θ (°) | I/Imax |
| --- | --- | --- |
| 0 0 6 | 36.7 | 55 |
| 1 1 3 | 36.9 | 100 |
| 0 2 1 | 37.5 | 73 |
| 2 0 2 | 39.1 | 58 |
| 0 2 4 | 44.8 | 57 |
| 2 0 5 | 48.7 | 42 |

Crystal structure
```
data_Ti6InO3
_symmetry_space_group_name_H-M 'R 3'
_symmetry_Int_Tables_number 146
_symmetry_space_group_name_Hall 'R 3'
_cell_length_a 5.6081
_cell_length_b 5.6081
_cell_length_c 14.6801
_cell_angle_alpha 90.00
_cell_angle_beta 90.00
_cell_angle_gamma 120.00
loop_
_atom_site_label
_atom_site_fract_x
_atom_site_fract_y
_atom_site_fract_z
~~~
_The calculated crystals stop here_
That’s right, a brand is more than just a company spending money promoting its name. Think of how many brands have come and gone over the years—even ones that were once hallmarks (no pun intended) of their industry and are now out of business or just a shell (again no pun intended) of what they once were.
In a report called, “Beyond Trust,” by Millward Brown and The Futures Co., the authors note, “Brands serve their owners by allowing them to cultivate customer recognition of, and loyalty toward, their offerings. Brands also serve the consumer by supplying information about the quality, origin, and value of goods and services. Without brands to guide buying decisions, the free market would become a confusing, faceless crowd of consumables. An established and respected brand can be the most valuable asset a company possesses.”
Essentially, a brand is a promise between the seller and the buyer that the product and/or company will do what it says—and in some cases go above and beyond expectations.
As noted branding writer and professional David Dolak said, “Brands create a perception in the mind of the customer that there is no other product or service on the market like yours. A brand promises to deliver value upon which consumers can rely to be consistent over long periods of time.”
If there is any lingering doubt about brands mattering, this latest recession should put an end to it as various studies, including Beyond Trust, have shown “many brands maintained and grew their value, even when selling at premium prices.”
Remember, brands do not need to be nationally known names. Your company may only have a strong reputation in the city it is in, which is all that counts since that is where you are doing business.
But, it doesn’t hurt to partner with nationally known brands as they can only help increase store traffic since consumers are seeing these names advertised everyday. A true collaboration between local and national brands can be a powerful combination for success.
The flooring industry has many known brands—in all suface categories—and there are many retailers who are pillars in their communities. Use yours and your partners’ name recognition to your advantage—it’s not a bad thing.